Заглавие:An approach for speeding up the transmission of medical diagnostic signals and data in the telemedical systems
Автор:Hristov, Valentin P.; Dimitrov, Dimitar; Момчеджиков, Михаил Благоев (рец.)Дата:2004Резюме:Recently medical diagnostic signals transmission and data in the telemedical systems is becoming more actual and important. These systems very often use Asynchronous Transfer Mode(ATM) as communication technology in order to ensure fast exchange of medical diagnostic signals and data in the conditions of teleconferencing and audio-visual ...Библиотека:
Заглавие:Оптимален подход при обучението на студентите да програмират
**Attached: data records**
********
No. 1
92
Properties=species:S:1:pos:R:3 method="wB97M-V/def2-TZVPD" charge=+4 gap_ev=6.11 e_homo_ev=-15.726 largest_force_ev_per_a=6.6
N 0.13 0.16 -1.25
S -0.04 -0.72 0.06
O -1.37 -1.08 0.42
O 1.03 -0.67 1.00
F 0.40 -2.12 -0.65
S -0.59 1.62 -0.69
O -0.05 2.16 0.50
O -1.98 1.74 -0.97
F 0.14 2.45 -1.81
C -4.21 0.93 2.62
C -2.82 1.36 2.93
O -1.85 0.72 2.73
N -2.65 2.73 3.58
H -2.99 2.78 4.55
H -1.64 2.83 3.70
C -3.13 3.85 2.70
H -4.57 0.22 3.37
H -4.22 0.47 1.63
H -4.94 1.74 2.66
H -2.59 3.77 1.76
H -2.88 4.79 3.21
H -4.21 3.81 2.62
C -3.72 -1.04 -1.92
C -2.80 -1.89 -2.70
O -3.05 -2.90 -3.25
N -1.49 -1.21 -3.15
H -1.10 -0.55 -2.42
H -0.80 -1.97 -3.23
C -1.67 -0.49 -4.45
H -3.63 0.00 -2.28
H -3.58 -0.90 -0.85
H -4.74 -1.38 -2.08
H -0.80 0.14 -4.59
H -2.61 0.03 -4.50
H -1.73 -1.25 -5.23
C -2.98 4.61 -2.26
C -3.29 3.50 -3.22
O -2.48 2.83 -3.77
N -4.76 3.20 -3.44
H -4.87 2.30 -3.91
H -5.14 3.05 -2.50
C -5.47 4.34 -4.20
H -3.05 5.52 -2.87
H -1.98 4.46 -1.88
H -3.72 4.71 -1.46
H -4.96 4.38 -5.16
H -5.40 5.25 -3.63
H -6.48 3.97 -4.34
C 3.73 -0.73 -0.84
C 3.80 -0.52 -2.31
O 4.73 -0.50 -3.03
N 2.44 -0.10 -2.96
H 2.17 -0.83 -3.63
H 1.60 -0.08 -2.31
C 2.54 1.19 -3.72
H 3.45 -1.75 -0.55
H 3.01 -0.05 -0.39
H 4.65 -0.49 -0.31
H 1.56 1.51 -4.07
H 3.17 1.07 -4.59
H 2.96 1.90 -3.01
C 3.99 3.30 6.08
C 4.05 2.53 4.80
O 4.97 2.32 4.11
N 2.67 2.12 4.19
H 2.00 2.07 4.96
H 2.28 2.82 3.56
C 2.68 0.76 3.52
H 3.00 3.30 6.53
H 4.44 4.28 5.97
H 4.59 2.72 6.79
H 2.97 0.06 4.29
H 3.38 0.78 2.69
H 1.68 0.56 3.14
C 0.98 -6.24 -0.37
C 2.43 -6.47 -0.15
O 3.25 -6.67 -0.97
N 2.84 -6.55 1.28
H 2.75 -5.59 1.69
H 2.25 -7.18 1.82
C 4.31 -6.87 1.50
H 0.74 -6.03 -1.40
H 0.66 -5.35 0.19
H 0.39 -7.10 -0.05
H 4.58 -7.80 1.00
H 4.39 -6.96 2.58
H 4.87 -6.03 1.12
O 3.13 -2.13 2.27
C 3.05 -3.52 2.31
O 1.90 -4.03 2.21
O 4.12 -4.11 2.43
H 2.21 -1.85 2.26



No. 2
76
Properties=species:S:1:pos:R:3 method="wB97M-V/def2-TZVPD" charge=+1 gap_ev="7.84 / 3.34" multiplicity=2 e_homo_ev="-10.375 / -10.375" largest_force_ev_per_a=3.7
C -3.05 -3.11 -3.50
C -2.20 -3.81 -2.39
C -3.07 -5.10 -2.20
C -2.48 -6.28 -1.41
C -1.17 -6.64 -2.09
C -0.17 -5.39 -2.11
N -0.84 -4.18 -2.80
O -0.04 -3.04 -2.93
C 0.41 -5.05 -0.68
C 1.08 -5.76 -2.93
C -2.20 -3.05 -1.05
H -2.73 -2.07 -3.45
H -4.12 -2.99 -3.33
H -3.07 -3.55 -4.49
H -3.92 -4.71 -1.64
H -3.52 -5.38 -3.15
H -3.13 -7.15 -1.52
H -2.30 -5.95 -0.39
H -1.26 -6.97 -3.13
H -0.60 -7.44 -1.62
H 0.92 -4.08 -0.68
H -0.33 -5.09 0.12
H 1.23 -5.70 -0.36
H 0.94 -5.69 -4.00
H 1.96 -5.23 -2.56
H 1.37 -6.81 -2.80
H -3.24 -3.00 -0.72
H -1.71 -2.07 -1.02
H -1.67 -3.74 -0.40
H 0.18 -3.02 -3.87
C 3.45 1.58 1.03
O 4.49 1.00 0.21
H 2.62 0.89 1.14
H 3.67 1.60 2.10
H 3.15 2.61 0.81
H 5.32 1.39 0.48
C -0.64 -0.11 1.19
O -0.19 0.33 -0.07
H -1.40 0.62 1.47
H -1.16 -1.06 1.16
H 0.19 -0.24 1.88
H 0.37 1.08 0.12
C 1.76 2.78 -1.89
C 0.90 3.82 -1.09
C -0.37 4.42 -1.83
O -1.10 5.37 -1.01
C -2.36 5.90 -1.51
N 0.39 3.23 0.19
H 2.00 3.16 -2.88
H 1.07 2.00 -2.22
H 2.63 2.33 -1.40
H 1.61 4.56 -0.71
********
**The data records stop here**
Автор:Жечев, Димитър Павлов; Малешков, Стоян (рец.); Zhechev, Dimirat PavlovДата:2004Резюме:The problems of basic training in computer science for students in technical programs are considered Studying a programming language is on the curriculum of all engineering programs. The limited number of lecturing hours and laboratory exercises insists on exercises and assignments optimization. The problems become more critical when studying ...Библиотека:
Заглавие:Спектрален анализ на неравномерно дискретизиран сигнал
Автор:Милетиев, Росен Георгиев; Арнаудов, Румен Иванов; Бекярски, Александър Богданов (рец.); Miletiev, Rosen Georgiev; Arnaudov, Rumen IvanovДата:2004Резюме:The method for spectral analysis of nonuniformly sampled data for radar applications is presented The fast implementation of the spectrum analysis is based on the fast Fourier transform (FFT) of the nonuniformly sampled data using two consequently changed PRFs (pulse repetition frequencies). The analysis of the nommiformly sampling effects ...Библиотека:
Заглавие:Изследване и проектиране на избирателни LC – усилватели с операционни усилватели
Автор:Пандиев, Ивайло МилановДата:2004Резюме:Many publications [5], [6], [7] • etc, describe circuits with Current Feedback Amplifiers (CFA). So far, none of them describe the application of these amplifiers for selective LC-amplifiers. This is due to the difficulty to approach the problem in the theoretical sense in a way that delivers valuable equations for the practice. The present ...Библиотека:
Заглавие:Апроксимации на фрактални оператори с непрекъснати и дискретни рационални функции в системите за управление
Автор:Радева, Надежда Радомирова; Сапунджиев, Георги Нешев (рец.); Radeva, Nadezhda RadomirovaДата:2004Резюме:This paper has purpose to systematizes the main aapproximation methods for rational approximations for irrational function - operators of fractional integration and differential in fractional analyse and theirs application like algorithms system of control. This work is compilation of book and journals articles of fractional analyse and ...Библиотека:
Заглавие:Алгоритми за сигнално – процесорно основано автоматично индустриално тестване на аналогов филтър
Автор:Арнаудов, Румен Иванов; Христов, Марин Христов; Алдимиров, Иво Г.; Гаджева, Елисавета Димитрова (рец.); Arnaudov, Rumen Ivanov; Hristov, Marin Hristov; Aldimirov, Ivo G.Дата:2004Резюме:In this paper are presented the algorithms of an improved method for DSP based automatic industrial test of an analog filter, as a building part of a mixed-signal integrated circuit. The mathematical equations and the algorithm for creation of a test multitone are given, helping the one-pass execution of the complete test. It is given the ...Библиотека:
Заглавие:Метод за сигнално-процесорно основано автоматично индустриално тестване на аналогов филтър
Автор:Арнаудов, Румен Иванов; Христов, Марин Христов; Алдимиров, Иво Г.; Гаджева, Елисавета Димитрова (рец.); Arnaudov, Rumen Ivanov; Hristov, Marin Hristov; Aldimirov, Ivo G.Дата:2004Резюме:In this paper are given the major points of the DSP based automatic industrial test of an analog filter, as a building part of a mixed-signal integrated circuit. The currently used methods and their advantages and disadvantages are subject of analyses. It is proposed a combined method solving the problems that have impact on the test time ...Библиотека:
Заглавие:Gain– and offset – compensated switched-capacitor integrator based on the Simpson’s integration method
Автор:Radev, Nikolay Asenov; Ivanov, Kancho; Станчев, Калин (рец.); Радев, Николай Асенов; Иванов, Кънчо ПанайотовДата:2004Резюме:A gain- and offset- compensated switched-capacitor integrator based on the Simpson's integration method is presented Analytical expressions for the gain, phase and offset voltage errors are derived and compared with the corresponding errors of the earlier one uncompensated integrator. The effectiveness of the proposed integrator is demonstrated ...Библиотека:
Заглавие:Уред за измерване на времето на закъснение на неелектрически детонатори и скоростта на разпространение на детонационната вълна във вълновод
Автор:Станчев, Георги Стефанов; Милетиев, Росен Георгиев; Арнаудов, Румен Иванов; Стефанов, Стефан (рец.); Stanchev, Georgi Stefanov; Miletiev, Rosen Georgiev; Arnaudov, Rumen IvanovДата:2004Резюме:Delay time of detonators and propagation velocity of detonation wave in a waveguide are important for security at the time of explosions. A device for measuring the time between the two sensors' operation is developed. The main measurement problem is related to the radio frequency interference due to the explosion plasma that determines the ...Библиотека:
Заглавие:Методи за измерване на времето на закъснение на неелектрически детонатори и скоростта на разпространение на детонационната вълна във вълновод
Автор:Станчев, Георги Стефанов; Дочев, Иво; Арнаудов, Румен; Stanchev, Georgi Stefanov; Dochev, Ivo; Arnaudov, Rumen; Стефанов, Стефан (рец.)Дата:2004Резюме:Delay time of the non-electrical detonators and propagation velocity of detonation wave in a waveguide are important parameters for quality of explosions and personnel safety. This requires their monitoring. The methods for measuring these parameters are presented in this paper. Schemes and experimental set-ups are developed as well. The ...Библиотека:
Заглавие:Компютърно определяне поведението на размити крайни автомати
Автор:Пеева, Кети Георгиева; Peeva, Ketty; Бижев, Георги (рец.)Дата:2004Резюме:In this paper we describe an engineering application of he software [1], developed by Kyose.v and Peeva for fuzzy relational calculus in MATLAB environment. The subject is fuzzy finite machines. We implement software for direct to compute behavior and software for inverse problem resolution to compute behavior matrix of fuzzy finite machine. ...Библиотека:
Заглавие:Изследване на устойчивост на линейна интервална параметрична система за управление на дисково запаметяващо устройство
Автор:Филипова-Петракиева, Симона Кирилова; (Petrakieva, Simona); Владов, Симеон (рец.)Дата:2004Резюме:The paper addresses the stability analysis of linear hard disk drive system under interval parameter uncertainties. The problem is equivalent of estimating the eigenvalues of matrices, which elements are nonlinear functions of independent interval parameters. It illustrates the practical applicability of the three methods to determine the ...Библиотека:
Заглавие:Алгоритъм за определяне на закъсненията в електрически вериги с логически схеми
Автор:Филипова, Красимира; Филипова-Петракева, Симона; Filipova, Krasimira; Filipova-Petrakieva, SimonaДата:2007Резюме:Dynamical analysis of electrical circuits, based on the logical schemes, takes into consideration the delays of the output signals with respect to the input signals of the each logic schemes in the electrical circuit considered. An algorithm for synchronization the signals in the analyzed electrical circuit, takes into account the delays ...Библиотека: